• Work order:
Reproduce every line further below that contains the word "HOMO".
• Source:
********
[1]
# C2H3N2P

2 unconnected molecules or ions with the total composition C2H3N2P in a non-equilibrium geometry (ωB97M-V/def2-TZVPD, the Open Molecules 2025 dataset).

The geometry in XYZ format:
```
8
Properties=species:S:1:pos:R:3:forces:R:3
C 0.8092 -0.0917 0.6069 3.3 2.0 -0.1
C -3.3602 -0.1351 -1.2056 0.2 0.7 -1.0
N 1.9600 0.3592 0.5785 -6.0 -2.4 0.4
N -2.7321 -0.8903 -0.6230 0.0 -0.3 0.4
P 3.3245 0.8658 1.1965 1.5 3.7 -0.1
H 0.0211 -0.3505 -0.0634 -0.1 -0.4 -0.7
H -3.7323 0.6008 -1.9086 -0.2 -0.4 0.6
H 3.7098 -0.3581 1.4187 1.3 -2.9 0.5
```
Positions in Å, forces in eV/Å.

Values from the calculation:
charge: 0
E_tot: -528.724413 hartree
energy relative to the best compared isomer or geometry (same formula, charge and spin): 3.190 eV
LUMO energy (alpha / beta): 0.005 / 0.005 Ha
HOMO (alpha / beta): -7.47 / -7.46 eV

=====

[2]
# C4H3ErLiO

A molecular structure, C4H3ErLiO in a non-equilibrium geometry (ωB97M-V/def2-TZVPD, the Open Molecules 2025 dataset).

The geometry in XYZ format:
```
10
Properties=species:S:1:pos:R:3:forces:R:3
C -1.7786 1.1438 -0.7226 -0.5 -2.3 0.2
C -0.9661 2.0886 -0.6031 -0.6 1.9 -0.6
H -0.5663 3.0946 -0.6414 0.4 -0.2 0.1
Er -2.1126 -1.7682 -0.2651 -0.8 1.8 -0.9
O 1.9422 -1.6045 0.4407 0.5 0.1 -1.9
C 1.2878 -0.7538 -0.0406 -2.6 -0.3 5.7
C 0.2104 0.1013 0.0322 4.0 -4.4 -3.4
Li 1.1594 -2.8153 1.9368 1.2 -0.4 0.5
H 0.0769 0.4580 1.0635 0.3 1.4 -0.7
H 0.7471 0.0556 -1.2004 -1.9 2.4 0.9
```
Positions in Å, forces in eV/Å.

Values from the calculation:
expectation value of S²: 3.765
charge: +3
E_tot: -1250.484529 hartree
2S+1: 4
energy relative to the best compared isomer or geometry (same formula, charge and spin): 7.548 eV
LUMO energy (alpha / beta): -0.525 / -0.528 Ha
HOMO (alpha / beta): -21.93 / -20.90 eV

=====

[3]
# C14H17ClNO4PPdS3

A molecular structure, C14H17ClNO4PPdS3 (ωB97M-V/def2-TZVPD, the Open Molecules 2025 dataset).

The geometry in XYZ format:
```
42
Properties=species:S:1:pos:R:3:forces:R:3
Pd 0.2885 1.0976 0.7182 -0.3 -0.3 0.0
C 3.1393 0.1007 6.8174 0.0 0.0 0.1
C 2.1545 0.7199 5.8694 -0.1 -0.1 -0.2
O 2.2946 0.0394 4.5589 0.0 0.1 0.3
P 1.8003 0.7031 3.2301 0.1 -0.3 -0.1
S 1.7530 -0.3803 0.0441 0.1 0.0 -0.1
S -0.1388 1.1279 3.1975 0.1 0.0 0.0
O 2.6309 2.0045 2.9399 0.2 0.3 0.0
C 3.9612 2.0352 2.3268 -0.2 0.0 0.0
C 5.0220 1.4681 3.2318 0.1 0.0 0.1
H 3.0123 0.5467 7.8047 0.0 0.0 0.0
H 4.1650 0.2735 6.4945 0.0 0.0 0.0
H 2.9708 -0.9717 6.9028 0.0 0.0 0.0
H 2.3327 1.7831 5.7058 0.0 0.0 0.1
H 1.1223 0.5681 6.1816 0.0 0.0 0.0
H 4.1139 3.0901 2.1191 0.0 0.0 0.0
H 3.8948 1.5101 1.3729 0.0 0.0 0.0
H 5.0547 2.0011 4.1823 0.0 0.0 0.0
H 5.9936 1.5809 2.7493 0.0 0.0 0.0
H 4.8730 0.4069 3.4334 0.0 0.0 0.0
S -3.3752 -1.4903 -0.5326 -0.2 -0.1 -0.1
C -3.8640 -0.1770 0.4376 -0.1 0.0 0.0
C -2.7794 0.4660 0.9264 0.1 0.0 0.1
N -1.5743 -0.0781 0.5424 -0.4 -0.2 -0.2
C -1.7592 -1.1143 -0.2383 0.3 0.0 0.1
H -4.9033 0.0545 0.5989 0.0 0.0 0.0
H -2.7946 1.3359 1.5641 0.0 0.0 0.0
H -0.9530 -1.6965 -0.6582 0.0 0.0 0.0
Cl -0.5386 9.2014 -1.3053 0.0 -0.1 0.0
C -0.3147 7.5083 -1.0212 0.0 0.2 0.0
C -1.4048 6.6567 -1.1282 0.1 0.0 0.0
C -1.2187 5.3051 -0.9035 -0.1 0.0 -0.1
C 0.0431 4.8185 -0.5720 -0.1 0.0 -0.2
C 1.1265 5.6881 -0.4700 0.0 0.1 0.0
C 0.9508 7.0400 -0.6964 0.0 0.0 0.0
C 0.2377 3.3882 -0.3214 0.3 -0.3 0.2
O 1.3624 2.9313 0.0387 0.0 0.3 0.2
O -0.7425 2.5523 -0.3915 0.0 0.4 -0.2
H -2.3743 7.0560 -1.3887 0.0 0.0 0.0
H -2.0530 4.6224 -0.9927 0.0 0.0 0.0
H 2.1039 5.3002 -0.2192 0.0 0.0 0.0
H 1.7774 7.7327 -0.6287 0.0 0.0 0.0
```
Positions in Å, forces in eV/Å.

Values from the calculation:
expectation value of S²: 8.773
charge: +1
E_tot: -3023.104269 hartree
2S+1: 6
energy relative to the best compared isomer or geometry (same formula, charge and spin): 0.000 eV
LUMO energy (alpha / beta): -0.084 / -0.222 Ha
HOMO (alpha / beta): -11.63 / -11.62 eV

=====

[4]
# C5H10MgO3

A molecular structure, C5H10MgO3 in a non-equilibrium geometry (ωB97M-V/def2-TZVPD, the Open Molecules 2025 dataset).
********
• Completed:
HOMO (alpha / beta): -7.47 / -7.46 eV
HOMO (alpha / beta): -21.93 / -20.90 eV
HOMO (alpha / beta): -11.63 / -11.62 eV